To do >
Print the whole of the listing underneath exactly, please.
Entries >
____________
Material: BaMg2Si2
Method: DFT, r2SCAN
State: relaxed Values from VASP.

Geometry as Quantum ESPRESSO input:
```
&SYSTEM
  ibrav = 0, nat = 5, ntyp = 3
/
ATOMIC_SPECIES
Ba 137.33 Ba.upf
Si 28.09 Si.upf
Mg 24.30 Mg.upf
CELL_PARAMETERS angstrom
-0.990 -3.736 -2.607
4.290 0.134 -1.821
0.162 -1.489 6.240
ATOMIC_POSITIONS crystal
Ba 0.000 0.000 0.000
Si 0.612 0.612 0.224
Si 0.388 0.388 0.776
Mg 0.750 0.250 0.500
Mg 0.250 0.750 0.500
```

Output
space group = I4/mmm (139)


Material: BaMg2Sn2
Method: DFT, r2SCAN
State: relaxed Values from VASP.

Geometry as Quantum ESPRESSO input:
```
&SYSTEM
  ibrav = 0, nat = 20, ntyp = 3
/
ATOMIC_SPECIES
Ba 137.33 Ba.upf
Sn 118.71 Sn.upf
Mg 24.30 Mg.upf
CELL_PARAMETERS angstrom
-3.794 1.016 -2.966
2.398 -2.060 -3.773
-9.987 -21.521 5.402
ATOMIC_POSITIONS crystal
Ba 0.000 0.500 0.379
Ba 0.500 0.000 0.621
Ba 0.000 0.500 0.871
Ba 0.500 0.000 0.129
Sn 0.500 0.500 0.500
Sn 0.000 0.500 0.066
Sn 0.500 0.000 0.934
Sn 0.500 0.000 0.318
Sn 0.500 0.000 0.815
Sn 0.000 0.500 0.185
Sn 0.000 0.500 0.682
Sn 0.000 0.000 0.500
Mg 0.500 0.500 0.252
Mg 0.000 0.000 0.000
Mg 0.500 0.500 0.748
Mg 0.000 0.000 0.748
Mg 0.500 0.500 0.000
Mg 0.000 0.500 0.566
Mg 0.500 0.000 0.434
Mg 0.000 0.000 0.252
```

Output
space group = P4/nmm (129)


Material: BaMnN2
Method: DFT, r2SCAN
State: relaxed Values from VASP.

Geometry as Quantum ESPRESSO input:
```
&SYSTEM
  ibrav = 0, nat = 16, ntyp = 3
/
ATOMIC_SPECIES
N 14.01 N.upf
Mn 54.94 Mn.upf
Ba 137.33 Ba.upf
CELL_PARAMETERS angstrom
2.710 3.489 4.616
-2.911 -5.635 0.772
6.733 -3.642 -1.199
ATOMIC_POSITIONS crystal
N 0.610 0.390 0.415
N 0.836 0.664 0.750
N 0.390 0.610 0.585
N 0.664 0.836 0.250
N 0.890 0.110 0.915
N 0.164 0.336 0.250
N 0.110 0.890 0.085
N 0.336 0.164 0.750
Mn 0.550 0.450 0.635
Mn 0.450 0.550 0.365
Mn 0.050 0.950 0.865
Mn 0.950 0.050 0.135
Ba 0.158 0.842 0.440
Ba 0.342 0.658 0.940
Ba 0.842 0.158 0.560
Ba 0.658 0.342 0.060
```

Output
space group = Cmce (64)


Material: BaMn6O12
Method: DFT, r2SCAN
State: relaxed Values from VASP.

Geometry as Quantum ESPRESSO input:
```
&SYSTEM
  ibrav = 0, nat = 38, ntyp = 3
/
ATOMIC_SPECIES
Mn 54.94 Mn.upf
O 16.00 O.upf
Ba 137.33 Ba.upf
CELL_PARAMETERS angstrom
4.252 -6.784 1.513
5.040 -2.394 -5.938
9.740 -0.633 0.657
ATOMIC_POSITIONS crystal
Mn 0.330 0.998 0.185
Mn 0.002 0.670 0.815
Mn 0.998 0.330 0.185
Mn 0.517 0.186 0.480
Mn 0.186 0.517 0.480
Mn 0.337 0.337 0.815
Mn 0.670 0.002 0.815
Mn 0.663 0.663 0.185
Mn 0.852 0.852 0.480
Mn 0.148 0.148 0.520
Mn 0.483 0.814 0.520
Mn 0.814 0.483 0.520
O 0.675 0.006 0.357
O 0.350 0.350 0.606
O 0.043 0.373 0.941
O 0.373 0.710 0.277
O 0.656 0.656 0.650
O 0.373 0.043 0.941
O 0.325 0.994 0.643
O 0.296 0.296 0.060
O 0.627 0.290 0.723
O 0.290 0.627 0.723
O 0.994 0.325 0.643
O 0.710 0.373 0.277
O 0.344 0.344 0.350
O 0.987 0.324 0.388
O 0.676 0.013 0.612
O 0.957 0.627 0.059
O 0.006 0.675 0.357
O 0.627 0.957 0.059
O 0.324 0.987 0.388
O 0.704 0.704 0.940
O 0.650 0.650 0.394
O 0.958 0.958 0.716
O 0.013 0.676 0.612
O 0.042 0.042 0.284
Ba 0.716 0.284 0.000
Ba 0.284 0.716 0.000
```

Output
space group = C2/m (12)


Material: Ba5Mn5O14
Method: DFT, r2SCAN
State: relaxed Values from VASP.

Geometry as Quantum ESPRESSO input:
```
&SYSTEM
  ibrav = 0, nat = 48, ntyp = 3
/
ATOMIC_SPECIES
O 16.00 O.upf
Mn 54.94 Mn.upf
Ba 137.33 Ba.upf
CELL_PARAMETERS angstrom
1.296 1.257 -5.412
-5.467 -0.491 1.557
-0.581 22.962 5.195
ATOMIC_POSITIONS crystal
O 0.715 0.863 0.949
O 0.684 0.843 0.352
O 0.826 0.157 0.651
O 0.156 0.331 0.152
O 0.863 0.715 0.051
O 0.331 0.156 0.848
O 0.331 0.156 0.652
O 0.938 0.443 0.750
O 0.157 0.826 0.349
O 0.156 0.331 0.348
O 0.684 0.843 0.148
O 0.154 0.862 0.948
O 0.443 0.938 0.250
O 0.826 0.157 0.849
O 0.843 0.684 0.852
O 0.862 0.154 0.448
O 0.445 0.505 0.250
O 0.862 0.154 0.052
O 0.157 0.826 0.151
O 0.306 0.156 0.051
O 0.156 0.306 0.551
O 0.715 0.863 0.551
O 0.154 0.862 0.552
O 0.843 0.684 0.648
O 0.863 0.715 0.449
O 0.505 0.445 0.750
O 0.156 0.306 0.949
O 0.306 0.156 0.449
Mn 0.672 0.343 0.692
____________
Done >
Material: BaMg2Si2
Method: DFT, r2SCAN
State: relaxed Values from VASP.

Geometry as Quantum ESPRESSO input:
```
&SYSTEM
  ibrav = 0, nat = 5, ntyp = 3
/
ATOMIC_SPECIES
Ba 137.33 Ba.upf
Si 28.09 Si.upf
Mg 24.30 Mg.upf
CELL_PARAMETERS angstrom
-0.990 -3.736 -2.607
4.290 0.134 -1.821
0.162 -1.489 6.240
ATOMIC_POSITIONS crystal
Ba 0.000 0.000 0.000
Si 0.612 0.612 0.224
Si 0.388 0.388 0.776
Mg 0.750 0.250 0.500
Mg 0.250 0.750 0.500
```

Output
space group = I4/mmm (139)


Material: BaMg2Sn2
Method: DFT, r2SCAN
State: relaxed Values from VASP.

Geometry as Quantum ESPRESSO input:
```
&SYSTEM
  ibrav = 0, nat = 20, ntyp = 3
/
ATOMIC_SPECIES
Ba 137.33 Ba.upf
Sn 118.71 Sn.upf
Mg 24.30 Mg.upf
CELL_PARAMETERS angstrom
-3.794 1.016 -2.966
2.398 -2.060 -3.773
-9.987 -21.521 5.402
ATOMIC_POSITIONS crystal
Ba 0.000 0.500 0.379
Ba 0.500 0.000 0.621
Ba 0.000 0.500 0.871
Ba 0.500 0.000 0.129
Sn 0.500 0.500 0.500
Sn 0.000 0.500 0.066
Sn 0.500 0.000 0.934
Sn 0.500 0.000 0.318
Sn 0.500 0.000 0.815
Sn 0.000 0.500 0.185
Sn 0.000 0.500 0.682
Sn 0.000 0.000 0.500
Mg 0.500 0.500 0.252
Mg 0.000 0.000 0.000
Mg 0.500 0.500 0.748
Mg 0.000 0.000 0.748
Mg 0.500 0.500 0.000
Mg 0.000 0.500 0.566
Mg 0.500 0.000 0.434
Mg 0.000 0.000 0.252
```

Output
space group = P4/nmm (129)


Material: BaMnN2
Method: DFT, r2SCAN
State: relaxed Values from VASP.

Geometry as Quantum ESPRESSO input:
```
&SYSTEM
  ibrav = 0, nat = 16, ntyp = 3
/
ATOMIC_SPECIES
N 14.01 N.upf
Mn 54.94 Mn.upf
Ba 137.33 Ba.upf
CELL_PARAMETERS angstrom
2.710 3.489 4.616
-2.911 -5.635 0.772
6.733 -3.642 -1.199
ATOMIC_POSITIONS crystal
N 0.610 0.390 0.415
N 0.836 0.664 0.750
N 0.390 0.610 0.585
N 0.664 0.836 0.250
N 0.890 0.110 0.915
N 0.164 0.336 0.250
N 0.110 0.890 0.085
N 0.336 0.164 0.750
Mn 0.550 0.450 0.635
Mn 0.450 0.550 0.365
Mn 0.050 0.950 0.865
Mn 0.950 0.050 0.135
Ba 0.158 0.842 0.440
Ba 0.342 0.658 0.940
Ba 0.842 0.158 0.560
Ba 0.658 0.342 0.060
```

Output
space group = Cmce (64)


Material: BaMn6O12
Method: DFT, r2SCAN
State: relaxed Values from VASP.

Geometry as Quantum ESPRESSO input:
```
&SYSTEM
  ibrav = 0, nat = 38, ntyp = 3
/
ATOMIC_SPECIES
Mn 54.94 Mn.upf
O 16.00 O.upf
Ba 137.33 Ba.upf
CELL_PARAMETERS angstrom
4.252 -6.784 1.513
5.040 -2.394 -5.938
9.740 -0.633 0.657
ATOMIC_POSITIONS crystal
Mn 0.330 0.998 0.185
Mn 0.002 0.670 0.815
Mn 0.998 0.330 0.185
Mn 0.517 0.186 0.480
Mn 0.186 0.517 0.480
Mn 0.337 0.337 0.815
Mn 0.670 0.002 0.815
Mn 0.663 0.663 0.185
Mn 0.852 0.852 0.480
Mn 0.148 0.148 0.520
Mn 0.483 0.814 0.520
Mn 0.814 0.483 0.520
O 0.675 0.006 0.357
O 0.350 0.350 0.606
O 0.043 0.373 0.941
O 0.373 0.710 0.277
O 0.656 0.656 0.650
O 0.373 0.043 0.941
O 0.325 0.994 0.643
O 0.296 0.296 0.060
O 0.627 0.290 0.723
O 0.290 0.627 0.723
O 0.994 0.325 0.643
O 0.710 0.373 0.277
O 0.344 0.344 0.350
O 0.987 0.324 0.388
O 0.676 0.013 0.612
O 0.957 0.627 0.059
O 0.006 0.675 0.357
O 0.627 0.957 0.059
O 0.324 0.987 0.388
O 0.704 0.704 0.940
O 0.650 0.650 0.394
O 0.958 0.958 0.716
O 0.013 0.676 0.612
O 0.042 0.042 0.284
Ba 0.716 0.284 0.000
Ba 0.284 0.716 0.000
```

Output
space group = C2/m (12)


Material: Ba5Mn5O14
Method: DFT, r2SCAN
State: relaxed Values from VASP.

Geometry as Quantum ESPRESSO input:
```
&SYSTEM
  ibrav = 0, nat = 48, ntyp = 3
/
ATOMIC_SPECIES
O 16.00 O.upf
Mn 54.94 Mn.upf
Ba 137.33 Ba.upf
CELL_PARAMETERS angstrom
1.296 1.257 -5.412
-5.467 -0.491 1.557
-0.581 22.962 5.195
ATOMIC_POSITIONS crystal
O 0.715 0.863 0.949
O 0.684 0.843 0.352
O 0.826 0.157 0.651
O 0.156 0.331 0.152
O 0.863 0.715 0.051
O 0.331 0.156 0.848
O 0.331 0.156 0.652
O 0.938 0.443 0.750
O 0.157 0.826 0.349
O 0.156 0.331 0.348
O 0.684 0.843 0.148
O 0.154 0.862 0.948
O 0.443 0.938 0.250
O 0.826 0.157 0.849
O 0.843 0.684 0.852
O 0.862 0.154 0.448
O 0.445 0.505 0.250
O 0.862 0.154 0.052
O 0.157 0.826 0.151
O 0.306 0.156 0.051
O 0.156 0.306 0.551
O 0.715 0.863 0.551
O 0.154 0.862 0.552
O 0.843 0.684 0.648
O 0.863 0.715 0.449
O 0.505 0.445 0.750
O 0.156 0.306 0.949
O 0.306 0.156 0.449
Mn 0.672 0.343 0.692